Entries:
- - -
C4H12 | the ωB97M-V functional and the def2-TZVPD basis

Properties
HOMO energy ... -11.76 eV
2S+1 ... 1
Calculated total energy ... -159.5783 Eh
Energy above the lowest of the compared OMol25 structures with the same formula, charge and spin ... 4.2 kcal per mole
Structure (SMILES) ... CC.CC
Kohn-Sham gap ... 12.85 eV

Each line ends with the Mulliken charge.
Atoms and positions in Å:
C (-2.46, 0.31, 1.10)  -0.7434
C (-2.18, 1.66, 0.44)  -0.7740
H (-1.81, -0.50, 0.76)  0.2030
H (-2.35, 0.34, 2.19)  0.2652
H (-3.48, 0.01, 0.87)  0.2793
H (-1.18, 1.79, 0.04)  0.2456
H (-2.40, 2.51, 1.09)  0.2644
H (-2.82, 1.80, -0.44)  0.2607
C (1.84, -1.46, -0.43)  -0.7691
C (2.80, -0.51, -1.13)  -0.8426
H (1.30, -0.97, 0.38)  0.2108
H (1.13, -1.97, -1.08)  0.2836
H (2.38, -2.24, 0.11)  0.2908
H (2.33, 0.09, -1.92)  0.2669
H (3.25, 0.20, -0.43)  0.2689
H (3.65, -1.03, -1.57)  0.2898
- - -

Wanted:
Your job: copy all of the lines above unchanged.

Written answer:
C4H12 | the ωB97M-V functional and the def2-TZVPD basis

Properties
HOMO energy ... -11.76 eV
2S+1 ... 1
Calculated total energy ... -159.5783 Eh
Energy above the lowest of the compared OMol25 structures with the same formula, charge and spin ... 4.2 kcal per mole
Structure (SMILES) ... CC.CC
Kohn-Sham gap ... 12.85 eV

Each line ends with the Mulliken charge.
Atoms and positions in Å:
C (-2.46, 0.31, 1.10)  -0.7434
C (-2.18, 1.66, 0.44)  -0.7740
H (-1.81, -0.50, 0.76)  0.2030
H (-2.35, 0.34, 2.19)  0.2652
H (-3.48, 0.01, 0.87)  0.2793
H (-1.18, 1.79, 0.04)  0.2456
H (-2.40, 2.51, 1.09)  0.2644
H (-2.82, 1.80, -0.44)  0.2607
C (1.84, -1.46, -0.43)  -0.7691
C (2.80, -0.51, -1.13)  -0.8426
H (1.30, -0.97, 0.38)  0.2108
H (1.13, -1.97, -1.08)  0.2836
H (2.38, -2.24, 0.11)  0.2908
H (2.33, 0.09, -1.92)  0.2669
H (3.25, 0.20, -0.43)  0.2689
H (3.65, -1.03, -1.57)  0.2898